• Excerpt:
<<<
# C5H15NO

A 2-piece molecular cluster, C5H15NO overall in a non-equilibrium geometry (ωB97M-V/def2-TZVPD, OMol25).

ORCA input file:
```
! RIJCOSX wB97M-V def2-TZVPD def2/J DEFGRID3
* xyz -1 2
C 1.866 2.134 0.971
N 1.154 1.874 -0.510
C -1.888 -0.536 -1.356
C -0.551 0.271 -1.483
C 0.324 0.587 -0.329
C 1.192 -0.822 -0.055
H 2.236 1.209 1.377
H 1.127 2.447 1.640
H 2.614 2.842 0.890
H 2.023 1.520 -0.940
H -2.529 -0.066 -2.103
H -2.351 -0.214 -0.371
H -1.858 -1.566 -1.219
H 0.159 0.216 -2.217
H -1.106 1.222 -1.765
H -0.307 0.829 0.466
H 2.320 -0.600 -0.142
H 1.029 -1.038 1.014
H 0.845 -1.664 -0.635
H -1.961 -2.781 2.985
H -2.304 -2.354 1.543
O -1.709 -2.865 2.069
*
```

Molecular weight ... 105.2 g mol⁻¹
>>>
• Exercise:
Now transcribe all of the block earlier on with every line break kept.
• Written answer:
# C5H15NO

A 2-piece molecular cluster, C5H15NO overall in a non-equilibrium geometry (ωB97M-V/def2-TZVPD, OMol25).

ORCA input file:
```
! RIJCOSX wB97M-V def2-TZVPD def2/J DEFGRID3
* xyz -1 2
C 1.866 2.134 0.971
N 1.154 1.874 -0.510
C -1.888 -0.536 -1.356
C -0.551 0.271 -1.483
C 0.324 0.587 -0.329
C 1.192 -0.822 -0.055
H 2.236 1.209 1.377
H 1.127 2.447 1.640
H 2.614 2.842 0.890
H 2.023 1.520 -0.940
H -2.529 -0.066 -2.103
H -2.351 -0.214 -0.371
H -1.858 -1.566 -1.219
H 0.159 0.216 -2.217
H -1.106 1.222 -1.765
H -0.307 0.829 0.466
H 2.320 -0.600 -0.142
H 1.029 -1.038 1.014
H 0.845 -1.664 -0.635
H -1.961 -2.781 2.985
H -2.304 -2.354 1.543
O -1.709 -2.865 2.069
*
```

Molecular weight ... 105.2 g mol⁻¹